Social Media

Using Owned, Paid, and Earned Media — on Facebook

Social media has redefined the way retailers market products. Direct response advertising is still useful, but it is now accompanied by an ever-increasing emphasis on content creation and word-of-mouth, which social networks such as Facebook and Twitter facilitate.

This article outlines a process by which merchants can use these three forms of media — “owned,” “paid,” and “earned” — on Facebook to increase engagement, extend reach, and turn likes into sales.

To start, let’s define what we mean by each term as it relates to ecommerce merchants.

  • Owned media. Content created by merchants for use on Facebook Pages.
  • Paid media. Ads such as Facebook Promoted Posts and Sponsored Stories.
  • Earned media. Conversations about brands and products shared among Facebook users.

Facebook’s platform enables each of these formats to integrate with the others to increase their overall impact.

1. Owned Media: Create Engaging Content

The first step is to create content that your current fans want and will likely to engage with.

What types of content qualify as engaging?

**These data records were left in the page by mistake**
The following is a GGA-PBE calculation of crystalline Ac2U3Al3 at its relaxed geometry, from OQMD via LeMat-Bulk.

Computed properties:
DFT total energy ... -0.21304 hartree per atom
Calculated density ... 8.20 g/cm3

Lattice parameters (Å, degrees): 3.883 3.883 16.779 90.00 90.00 90.00
Element x y z (fractional)
Al: 0.500 0.500 0.500
Ac: 0.000 0.500 0.667
Al: 0.500 0.500 0.000
U: 0.000 0.000 0.000
Ac: 0.500 0.000 0.333
U: 0.000 0.000 0.151
Al: 0.000 0.000 0.500
U: 0.000 0.000 0.849

The following is a GGA-PBE calculation of crystalline CsTl2Au at its relaxed geometry, from OQMD via LeMat-Bulk.

Computed properties:
DFT total energy ... -0.07750 hartree per atom
Calculated density ... 9.53 g/cm3

Lattice parameters (Å, degrees): 5.899 7.238 6.031 90.00 90.07 90.00
Element x y z (fractional)
Tl: 0.500 0.000 0.574
Au: 0.494 0.750 0.000
Cs: 0.000 0.000 0.011
Cs: 0.000 0.500 0.989
Tl: 0.958 0.250 0.500
Tl: 0.500 0.500 0.426
Au: 0.506 0.250 0.000
Tl: 0.042 0.750 0.500

The following is a GGA-PBE calculation of crystalline BeTePdO at its relaxed geometry, from OQMD via LeMat-Bulk.

Computed properties:
DFT total energy ... -0.17440 hartree per atom
Offset from the most stable computed form ... 935 meV per atom
Calculated density ... 6.40 g/cm3

Lattice parameters (Å, degrees): 3.741 3.741 9.610 90.00 90.00 90.00
Element x y z (fractional)
Pd: 0.750 0.250 0.000
O: 0.750 0.750 0.401
O: 0.250 0.250 0.599
Te: 0.750 0.750 0.801
Te: 0.250 0.250 0.199
Be: 0.250 0.250 0.450
Pd: 0.250 0.750 0.000
Be: 0.750 0.750 0.550

The following is a GGA-PBE calculation of crystalline CsNaUS3 at its relaxed geometry, from OQMD via LeMat-Bulk.

Computed properties:
DFT total energy ... -0.20518 hartree per atom
Calculated density ... 4.59 g/cm3

Lattice parameters (Å, degrees): 7.999 7.999 10.976 90.00 90.00 149.63
Element x y z (fractional)
S: 0.464 0.536 0.250
S: 0.113 0.887 0.478
Na: 0.933 0.067 0.750
U: 0.500 0.500 0.000
S: 0.887 0.113 0.978
S: 0.536 0.464 0.750
U: 0.500 0.500 0.500
S: 0.113 0.887 0.022
Na: 0.067 0.933 0.250
Cs: 0.220 0.780 0.750
Cs: 0.780 0.220 0.250
S: 0.887 0.113 0.522

----------

(1)
## ZrScIrS2 (PBE)

Data for an optimized crystal structure of ZrScIrS2.

## Properties
energy relative to the elements, uncorrected = -0.05 eV per atom

a b c (Å): 4.7015 4.7015 4.8020
angles (deg): 90.00 90.00 90.00
Atoms (fractional coordinates):
Zr 0.0000 0.0000 0.0000
Sc 0.5000 0.5000 0.5000
Ir 0.5000 0.5000 0.0000
S 0.0000 0.5000 0.5000
S 0.5000 0.0000 0.5000


(2)
## Ir2Se2S (PBE)

Data for an optimized crystal structure of Ir2Se2S.

## Properties
energy relative to the elements, uncorrected = 0.53 eV per atom
offset from the most stable computed form = 0.00 kcal/mol of atoms

a b c (Å): 7.2371 7.2371 3.2560
angles (deg): 90.00 90.00 90.00
Atoms (fractional coordinates):
Ir 0.1357 0.3643 0.0000
Ir 0.3643 0.8643 0.0000
Ir 0.6357 0.1357 0.0000
Ir 0.8643 0.6357 0.0000
Se 0.1523 0.6523 0.5000
Se 0.3477 0.1523 0.5000
Se 0.6523 0.8477 0.5000
Se 0.8477 0.3477 0.5000

  • Promotional. This includes product announcements, as well as Facebook-only promotions, exclusive discounts, and free trial offers. A September 2012 study from market research company Lab42 found that, of the 87 percent of Facebook users who like business pages, 34 percent do so to receive promotions and discounts. Another 21 percent reported liking pages to obtain free products.
  • Informational. It makes sense that fans will respond to content focused on their needs and interests. This demands that merchants get to know their fans and understand the target audience they are attempting to reach.

A good rule of thumb is to make 80 percent of your content informational, and 20 percent promotional.

Here are some tips to increase engagement with content you create.

  • Use images. According to KissMetrics, an analytics and tracking firm, images and photos receive 39 percent higher interactions than average posts, and receive 53 percent more likes, 104 percent more comments, and 84 percent more clicks. Include an image in most, if not all, of your posts.
  • Keep posts short. Posts with less than 80 characters get 23 percent higher engagement.
  • Post 1 to 2 times per day. Among retail brands, posting 1 to 2 times per day gets 40 percent more engagement than posting 3 or more times per day.
  • Schedule posts for optimal days and times. Facebook activity peaks around 3 p.m. Eastern Time each day. There are also spikes around 11 a.m. and 8 p.m. Wednesday seems to the be most active day during the week. Schedule posts to take advantage of these peaks.
  • Pin and highlight posts. Pin important posts to the top of your page to increase exposure, as well as highlight such posts so they span the width of both columns in the Timeline.
  • Use Facebook Insights. Use Facebook Insights to analyze the types of content fans most respond to, as well as the effect post format, frequency and time of day has on engagement.

2. Paid Media: Amplify Content with Ads

Use Facebook Promoted Posts to extend reach and increase longevity of posts that receive higher engagement.

Records of crystals, kept here for reference.
-- begin --
Record 1
Crystalline Tb7DyTm3 at its relaxed geometry, computed with GGA-PBE.

```
data_Tb7DyTm3
_cell_length_a 6.9398
_cell_length_b 5.5042
_cell_length_c 9.8237
_cell_angle_alpha 90.00
_cell_angle_beta 110.31
_cell_angle_gamma 90.00
_space_group_name_H-M_alt 'P 1 2/m 1'
_space_group_IT_number 10
_space_group_name_Hall '-P 2y'
loop_
_atom_site_label
_atom_site_type_symbol
_atom_site_fract_x
_atom_site_fract_y
_atom_site_fract_z
_atom_site_occupancy
Tb1 Tb 0.0000 0.0000 0.0000 1
Tb2 Tb 0.1462 0.5000 0.2914 1
Tb3 Tb 0.3225 0.5000 0.6417 1
Tb4 Tb 0.4183 0.0000 0.8308 1
Dy1 Dy 0.0000 0.0000 0.5000 1
Tm1 Tm 0.2786 0.5000 0.9990 1
Tm2 Tm 0.5000 0.0000 0.5000 1
```

Values from the calculation:
The calculation puts the formation energy from the elements at 0.1385 eV per atom. The density is 8408 kg/m³.

=====

Record 2
Crystalline TaAlRe2 at its relaxed geometry, computed with GGA-PBE.

```
data_TaAlRe2
_cell_length_a 2.8250
_cell_length_b 2.8250
_cell_length_c 27.2872
_cell_angle_alpha 90.00
_cell_angle_beta 90.00
_cell_angle_gamma 120.00
_space_group_name_H-M_alt 'R -3 m'
_space_group_IT_number 166
_space_group_name_Hall '-R 3 2"'
loop_
_atom_site_label
_atom_site_type_symbol
_atom_site_fract_x
_atom_site_fract_y
_atom_site_fract_z
_atom_site_occupancy
Ta1 Ta 0.0000 0.0000 0.0000 1
Al1 Al 0.0000 0.0000 0.5000 1
Re1 Re 0.0000 0.0000 0.2462 1
```

Values from the calculation:
The calculation puts the formation energy from the elements at 0.0788 eV per atom. The density is 15330 kg/m³.

=====

Record 3
Crystalline Hf4Ga3Au at its relaxed geometry, computed with GGA-PBE.

```
data_Hf4Ga3Au
_cell_length_a 3.8469
_cell_length_b 3.8882
_cell_length_c 10.3075
_cell_angle_alpha 90.00
_cell_angle_beta 90.00
_cell_angle_gamma 90.00
_space_group_name_H-M_alt 'P m m 2'
_space_group_IT_number 25
_space_group_name_Hall 'P 2 -2'
loop_
_atom_site_label
_atom_site_type_symbol
_atom_site_fract_x
_atom_site_fract_y
_atom_site_fract_z
_atom_site_occupancy
Hf1 Hf 0.0000 0.0000 0.0000 1
Hf2 Hf 0.0000 0.5000 0.2830 1
Hf3 Hf 0.5000 0.0000 0.4876 1
Hf4 Hf 0.5000 0.5000 0.7889 1
Ga1 Ga 0.0000 0.5000 0.5504 1
Ga2 Ga 0.5000 0.0000 0.2196 1
Ga3 Ga 0.5000 0.5000 0.0576 1
Au1 Au 0.0000 0.0000 0.7225 1
```

Values from the calculation:
The calculation puts the formation energy from the elements at -0.4698 eV per atom. The density is 12064 kg/m³.

=====

Record 4
Crystalline K2Sr at its relaxed geometry, computed with GGA-PBE.

```
data_K2Sr
_cell_length_a 16.8388
_cell_length_b 4.4405
_cell_length_c 10.9732
_cell_angle_alpha 90.00
_cell_angle_beta 106.59
_cell_angle_gamma 90.00
_space_group_name_H-M_alt 'C 1 m 1'
_space_group_IT_number 8
_space_group_name_Hall 'C -2y'
loop_
_atom_site_label
_atom_site_type_symbol
_atom_site_fract_x
_atom_site_fract_y
_atom_site_fract_z
_atom_site_occupancy
K1 K 0.0000 0.0000 0.0000 1
K2 K 0.0558 0.0000 0.6097 1
K3 K 0.1649 0.5000 0.3261 1
K4 K 0.3319 0.0000 0.6660 1
Sr1 Sr 0.2281 0.5000 0.9544 1
Sr2 Sr 0.3827 0.0000 0.2652 1
```
-- stop --

You can assign Promoted Posts to either reach fans and friends of fans, or target a group of users based on age, gender, location and language. People will see the post in the news feed on either their desktop computer or mobile device. When fans engage with your post, their friends may see the story in their news feed, enabling you to extend your reach.

You can also include a Sponsored Story to further amplify the post. Sponsored Stories do not require any additional budget, but will share the cost with your current ad.

3. Earned Media: Interact with Fans

It’s important to interact with fans and others who engage with your posts.

Some engagement tips include the following.

  • Respond to comments. This lets fans know you’re interested in what they have to say and may increase the likelihood they will continue to pay attention to your posts over time.
  • Get fans involved. Ask fans to create their own content and share it on your Page. Also, ask fans to take action on your posts. This could include asking them to like a post, vote in a contest, or share the post with their friends. Asking questions helps, too. Posts that include questions garner 100 percent more comments than “non-question” posts.
  • Feature fans. Feature a “fan of the week” and include testimonials from customers who are also fans of your Page.

Wrap Up

Facebook makes it easy to integrate owned, paid and earned media to increase the effectiveness of your marketing. To take advantage of this capability, create engaging content, promote content that receives the most engagement using ads, and interact with fans and others to stimulate continued interest.

Paul Chaney
Paul Chaney